WordPress wp-cli (WordPress Command Line Interface)
How to use WordPress Command Line Interface
For help, type at command line: wp help
For example, wp help db export
Available commands:
wp cache [add|add_global_groups|add_non_persistent_groups|decr|delete|flush|get|incr|replace|set|type] wp comment [create|delete|trash|untrash|spam|unspam|approve|unapprove|count|status|last] wp core [download|config|install|install_network|version|update|update_db] wp db [create|drop|reset|optimize|repair|connect|cli|query|export|import] wp eval-file wp eval wp export [validate_arguments] wp generate [posts|users] wp home wp option [add|update|delete|get] wp plugin [activate|deactivate|toggle|path|update|uninstall|delete|status|install] wp post-meta [get|delete|add|update] wp post [create|update|delete] wp theme [activate|path|delete|status|install|update] wp transient [get|set|delete|type] wp user-meta [get|delete|add|update] wp user [list|delete|create|update] wp super-cache [flush|status|enable|disable]
See 'wp help ' for more information on a specific command.
Available Commands Descrptions:
- blog: Manages your blogs in a multisite installation.
- cache: Manages your object cache.
- cap: Manages all the capabilities of your users.
- comments: Manages all your user comments.
- core: Manages all the WordPress tasks like downloading, installing, updating etc.
- db: Performs all your basic database operations.
- eval: Executes the arbitrary PHP code after WordPress is loaded.
- eval-file: Loads and executes PHP code after WordPress is loaded.
- export: Exports your WordPress content to WXR file.
- help: Provides help on various WordPress topics.
- media: Controls your media library along with its attachments.
- option: Manages your options in WordPress.
- plugin: Manages your WordPress Plugins.
- post: Manages all your WordPress Posts.
- post-meta: Manages all your custom posts in WordPress.
- rewrite: Manages the rules related to rewrite options.
- roles: Manages the roles of your WordPress users.
- scaffold: Generates the code for taxonomies and post types in your WordPress site.
- search-replace: Searches and replaces the strings in your WordPress.
- shell: Interactive console for PHP scripting.
- term: Manages your WordPress terms.
- theme: Manages your WordPress themes
- transient: Manages all the transients in WordPress.
- user: Manages all your site users.
- user-meta: Manages the custom fields of your WordPress users.
Global parameters:
--user= set the current user --url= set the current URL --path= set the current path to the WP install --require= load a certain file before running the command --quiet suppress informational messages --version print wp-cli version
Common Commands
- Deactivate a plugin: wp plugin deactivate NAME or wp plugin toggle NAME
- To deactivate on Multisite Network Installed plugins: wp plugin toggle NAME --network
- Deactivate a theme: wp theme activate NAME (you have to actually activate a different theme)
- Change a password:
- wp user list (this will list all users, make a note of their IDs)
- wp user update 3 --user_pass=123456 (changes the password to something you know)
- Flush Cache: wp cache flush or wp super-cache flush (depending on which plugin they're using)
- Re-update core: wp core update
********
No. 1
{
  "formula": "C38H92Br3N5O5",
  "method": "ωB97M-V/def2-TZVPD",
  "e_above_lowest_kj_mol": 336.0,
  "homo_ev": -9.78,
  "total_charge": 2,
  "energy_ev": -268689.99742,
  "homo_lumo_gap_ha": 0.0681,
  "symbols": ["C", "C", "C", "C", "C", "C", "N", "O", "C", "C", "C", "H", "H", "H", "H", "H", "H", "H", "H", "H", "H", "H", "H", "H", "H", "H", "H", "H", "H", "C", "C", "N", "C", "C", "C", "C", "C", "O", "C", "H", "H", "H", "H", "H", "H", "H", "H", "H", "H", "H", "H", "H", "H", "H", "H", "H", "H", "H", "H", "C", "C", "N", "C", "C", "C", "C", "C", "O", "C", "H", "H", "H", "H", "H", "H", "H", "H", "H", "H", "H", "H", "H", "H", "H", "H", "H", "H", "H", "H", "C", "C", "N", "C", "C", "C", "C", "C", "O", "C", "H", "H", "H", "H", "H", "H", "H", "H", "H", "H", "H", "H", "H", "H", "H", "H", "H", "H", "H", "H", "C", "N", "C", "C", "C", "C", "O", "H", "H", "H", "H", "H", "H", "H", "H", "H", "H", "H", "H", "H", "H", "Br", "Br", "Br"],
********
- Force the DB upgrade to run: wp core update-db
See the official WP CLI website at https://github.com/wp-cli/wp-cli/wiki